How do I care for indoor Monstera and Swiss Cheese Plants?
Indoor Plant Care | Plant Specific Care
Quick AnswerObsessed with those jungle-vibe Monstera and Swiss Cheese plants? They make a seriously cool statement wherever you put them! The good news is, these leafy show-offs are pretty easy-going. Think loads of bright, but not direct, light, soil that drains well, a bit of humidity for that tropical feel, and something to climb on (or let those leaves go wild and trail!). With a little love, they'll be the stars of your indoor jungle.
Monsteras, with their huge, iconic "Swiss cheese" leaves, are true plant celebrities. They bring instant drama to any space, and they're surprisingly easy-going for such a statement piece. Let's dive into how to keep yours looking lush, from the classic Monstera deliciosa to those stunning variegated rarities.
Monsteras Like It Wild (But Not Too Wild!)
These plants evolved in tropical rainforests, so they do best when we mimic those conditions:
- Bright, Indirect Light: Think of dappled sunlight through the jungle canopy. An east-facing window is ideal, or a few feet back from a south-facing one. Too much direct sun burns those gorgeous leaves, but they get droopy and lose their signature splits in low light.
- Warm & Comfy: They're happy in normal house temperatures (15-27°C), but hate sudden changes. Keep them away from drafty doors and windows, or blasting radiators.
- Well-Drained Soil: Roots need to breathe! Shop for 'aroid mix', or add perlite/orchid bark to normal potting soil. Terracotta pots are great for Monsteras, as they dry out faster than plastic.
- Humidity Boost: Native to steamy jungles, they appreciate some extra moisture in the air. Misting is good (especially in winter when the heating's on), but be sure the leaves dry off to avoid fungal issues. Pebble trays, or a humidifier near the plant, are also great options.
Monstera TLC for Beginners & Pros
- Water wisely: When the top inch of soil feels dry, give it a good deep drink, then let the pot drain fully. Overwatering is the #1 Monstera killer!
- Food for Growth: A weak dose of balanced liquid fertiliser every few weeks in spring/summer helps them put out those big leaves
- Staking Up: As your Monstera matures, a moss pole or trellis gives those aerial roots something to grab onto, encouraging bigger splits in the leaves. Plus, it looks super cool!
- Pruning Keeps It Pretty: Snip off yellow or damaged leaves. If it's getting too leggy, don't be afraid to cut it back – it'll grow back bushier, and those cuttings can be rooted to make new plants!
- Be a Pest Detective: Monsteras are sadly quite attractive to bugs. Regularly check for spider mites (tiny webs), mealybugs (white fluff), or scale (little bumps on stems). A blast with the shower often knocks minor pests off, but neem oil or insecticidal soap work for stubborn infestations.
Troubleshooting Help
- Yellow Leaves?
- Overwatering is the usual suspect. Is the soil always wet? Time to repot with fresh mix.
- If it's very dry AND yellow, it's thirsty! Give it a soak.
- Very pale leaves mean it needs more light – move it gradually closer to the window.
- Brown Bits?
- Crispy edges usually = low humidity. Up the misting, or try a pebble tray.
- Scorched patches = too much direct sun. A sheer curtain helps diffuse the light.
- Leggy and Floppy? Probably not enough light. They stretch towards the sun, getting lanky with smaller leaves.
- Weird, Deformed Leaves? Sometimes this is a sign of pests – check closely! It can also happen with inconsistent watering, or big temperature swings.
Monsteras of All Kinds at Houseplant.co.uk
We're obsessed with finding the coolest – and healthiest – Monsteras for our customers. Here's what we offer:
- The Classics: Monstera deliciosa is the big-leafed icon for a reason. Easy to find, affordable, and the perfect starting point!
- Variegated Wonders: White & green, speckled, or half-moon patterns... these are the collector's choice. Pricier, but oh-so-gorgeous.
- Monstera Minis: Adansonii varieties have smaller leaves and a more vining habit. Perfect for smaller spaces!
For CsAcReN3, a crystal structure in Alexandria, relaxed with GGA-PBE gives the calculated X-ray diffraction stick pattern in this record (Cu Kα).
Intensities are scaled so that the largest is 100.

Structure:
Cell lengths 7.458, 7.458, 9.274 Å; angles 105.76, 105.76, 30.19 degrees
Element x y z (fractional)
Cs 0.140 0.140 0.059
Cs 0.860 0.860 0.941
Ac 0.156 0.156 0.582
Ac 0.844 0.844 0.418
Re 0.490 0.490 0.696
Re 0.510 0.510 0.304
N 0.013 0.013 0.339
N 0.347 0.347 0.617
N 0.374 0.374 0.231
N 0.626 0.626 0.769
N 0.653 0.653 0.383
N 0.987 0.987 0.661

Principal peaks in the range 2θ from 10° to 90°, by angle:
| d (Å) | Rel. int. |
| --- | --- |
| 3.338 | 47 |
| 3.200 | 53 |
| 2.977 | 100 |
| 2.969 | 90 |
| 2.317 | 20 |
| 2.303 | 20 |


For CsAc2Re2N6, a crystal structure in Alexandria, relaxed with GGA-PBE gives the calculated X-ray diffraction stick pattern in this record (Cu Kα).
Intensities are scaled so that the largest is 100.

Structure:
Cell lengths 6.927, 6.927, 7.359 Å; angles 116.19, 116.19, 63.61 degrees
Element x y z (fractional)
Cs 0.000 0.000 0.000
Ac 0.320 0.320 0.717
Ac 0.680 0.680 0.283
Re 0.384 0.384 0.321
Re 0.616 0.616 0.679
N 0.101 0.503 0.337
N 0.425 0.425 0.110
N 0.497 0.899 0.663
N 0.503 0.101 0.337
N 0.575 0.575 0.890
N 0.899 0.497 0.663

Principal peaks in the range 2θ from 10° to 90°, by angle:
| d (Å) | Rel. int. |
| --- | --- |
| 5.909 | 72 |
| 3.771 | 33 |
| 3.651 | 100 |
| 3.210 | 29 |
| 3.048 | 71 |
| 3.011 | 44 |


For CsAcWN3, a crystal structure in Alexandria, relaxed with GGA-PBE gives the calculated X-ray diffraction stick pattern in this record (Cu Kα).
Intensities are scaled so that the largest is 100.

Structure:
Cell lengths 7.609, 7.609, 8.838 Å; angles 104.40, 104.40, 30.60 degrees
Element x y z (fractional)
Cs 0.137 0.137 0.064
Cs 0.863 0.863 0.936
Ac 0.163 0.163 0.600
Ac 0.837 0.837 0.400
W 0.488 0.488 0.659
W 0.512 0.512 0.341
N 0.014 0.014 0.357
N 0.350 0.350 0.629
N 0.381 0.381 0.227
N 0.619 0.619 0.773
N 0.650 0.650 0.371
N 0.986 0.986 0.643

Principal peaks in the range 2θ from 10° to 90°, by angle:
| d (Å) | Rel. int. |
| --- | --- |
| 8.539 | 72 |
| 3.301 | 35 |
| 3.157 | 46 |
| 3.060 | 100 |
| 2.970 | 86 |
| 2.364 | 24 |


Dy3Si2Os2: simulated powder diffractogram (Cu Kα (weighted mean of Kα1 and Kα2)), based on a cell relaxed with PBE.
Lines closer than 0.1° are merged.

Principal peaks in the range 2θ = 5–70°, by angle:
| d_spacing | I_rel |
| --- | --- |
| 3.303 | 29 |
| 2.695 | 31 |
| 2.580 | 37 |
| 2.572 | 27 |
| 2.515 | 39 |
| 2.305 | 39 |
| 2.268 | 100 |
| 2.241 | 35 |

Cell and atoms:
Unit cell a=5.605 b=7.584 c=13.446 alpha=90.00 beta=90.00 gamma=90.00
Space group Pbcm (No. 57)
Inequivalent atoms, fractional coordinates:
Dy (0.124, 0.249, 0.250)
Dy (0.357, 0.604, 0.102)
Si (0.097, 0.250, 0.000)
Si (0.361, 0.598, 0.750)
Os (0.148, 0.527, 0.591)
- Slightly Imperfect Plants: A small scar or a slightly wonky leaf doesn't mean a bad plant! Grab a bargain, and give it some love.